“I want to bring to your attention the book, Stamped, assigned to the AP Language and Comp class at Ashley High School. This book contains Marxist ideology, inaccurate reframing of history, untruths, and disrespect for our nation and the Bible," Katie Gates said, speaking at a school board meeting in January.
She’s a parent, currently petitioning Ashley High School to remove the book Stamped: Racism, Antiracism, and You.

Written by Jason Reynolds, it was adapted for students from the work of Ibram X. Kendi, a Black author whose work on racism has made him a target of the American far right.
Kelli Kidwell, an educator for close to 25 years, assigned the book to her advanced placement (AP) students.
“[Reynolds] goes through the foundations of colonialism, the start of America, and then up through modern day, and just different ways racism has appeared, and people have tried to fight against it, and how it's impacting people,” Kidwell said.

According to email records, on December 13, 2022, Gates first notified Kidwell about her issues with the book. She wrote, “Notice that I have cced the School Board and Lt. Governor Mark Robinson’s assistant who will be reporting this to the F.A.C.T.S commission.”
Kidwell responded the next day to Gates, “Thank you for bringing your concerns to my attention.”
In August 2021, Robinson published a report entitled, ‘Indoctrination in Public Education’ – and at a press conference for the report, he said this was “only the beginning” for rooting out biased teaching.
In her first email to Kidwell and her January public comment, Gates objected to Stamped’s approach to history. For example, she took issue with the book’s claim that the Biblical story of Ham was later used to justify slavery.
“‘God would curse Ham’s children to be dark and disgusting, Black, and bad.’ The author states that the story is an example of curse theory that anchors and would justify slavery in America. Stamped also contains misinformation and disrespect of our founding fathers,” Gates said in January.
But the historical argument in Stamped is neither new nor unfounded — and scholars mainly agree that Christian slaveholders used the Bible as one of the justifications for chattel slavery. And, when Ashley’s 13-person Media and Technology Advisory Committee (MTAC), which included educators, parents, and students, reviewed Gates’ request to ban the book, it noted Stamped contains 184 source notes, many of which are primary sources.
Additionally, in her defense of the founders during the January board meeting, Gates falsely suggested that Thomas Jefferson freed his slaves. Gates also cited Declaration of Independence signers Benjamin Rush and Benjamin Franklin as having "released their own slaves." Rush owned one slave, bought as a child, who was later "freed for compensation," meaning Rush earned money in the transaction; Franklin owned two slaves, who he freed late in life.
Gates said that a proper curriculum would respect the founders. In her December 13 email, Gates said, “Teach from the classics, teach classic principles. Please do not bring political, controversial texts into the classroom.” But Kidwell said she does teach the Constitution, the Declaration of Independence, and various speeches from the founding fathers.
Further, Kidwell said Stamped is presented in her college-level course as just one perspective.
“And that's actually one of the premises that the AP College Board puts out, is that we're not about saying a kid has to prescribe to a certain philosophy or ideology,” Kidwell said. “When we talk about the stuff, we're just exposing them to a range of thinking, and a range of theories that exist, and then asking them to analyze what's being said, how it's being said; is it effective?”
In response to Gates’ concern, Kidwell offered an alternate book assignment for her child. But Kidwell is concerned about banning it outright.
“There's a fundamental difference between saying I would prefer my kid not to read this book, and saying no kid should read this book. And to give that kind of carte blanche control, that any idea that comes up in a book that bothers someone they can just say no kid can have access to it, is very troubling,” Kidwell said.

Kidwell also said her class includes conversations about the book where students can make comments on the arguments Reynolds is making, including critical ones.
Between two parts of the article: materials data:
____________
(1)
## YTi2O4 (PBE-GGA)

Data for a relaxed structure of YTi2O4.

- Energy of formation: -3250 meV per atom
- Total magnetic moment: 0.0 μB/cell
- ΔE to the lowest computed polymorph: 0 meV per atom

Lattice parameters (Å, degrees): 5.8242 5.8242 9.9899 90.00 90.00 90.00
Closest atoms and distances in Å follow each position.
Space group I4_1/a (No. 88, origin choice 2)
One atom of each set of equivalent atoms:
Y (0.0000, 0.2500, 0.1250) [4 per cell]  8 O 2.33-2.47
Ti (0.0000, 0.0000, 0.5000) [8 per cell]  4 O 1.97-2.04
O (0.1634, 0.4478, 0.3218) [16 per cell]  2 Ti 1.97-2.04


(2)
## SnNF3 (PBE-GGA)

Data for a relaxed structure of SnNF3.

- Energy of formation: -982 meV per atom
- Total magnetic moment: 18.0 μB/cell
- ΔE to the lowest computed polymorph: 390 meV per atom

Lattice parameters (Å, degrees): 6.2202 6.2202 18.2622 90.00 90.00 120.00
Closest atoms and distances in Å follow each position.
Space group R-3 (No. 148, hexagonal axes)
One atom of each set of equivalent atoms:
Sn (0.0000, 0.0000, 0.1679) [6 per cell]  6 F 2.19
N (0.0000, 0.0000, 0.3680) [6 per cell]  6 F 2.87-3.17
F (0.0035, 0.4153, 0.5620) [18 per cell]  2 Sn 2.19


(3)
## Na3Nd14Ru6O36 (PBE-GGA)

Data for a relaxed structure of Na3Nd14Ru6O36.

- Energy of formation: -2888 meV per atom
- Total magnetic moment: 90.3 μB/cell

Lattice parameters (Å, degrees): 9.7874 9.7874 56.0524 90.00 90.00 120.00
Closest atoms and distances in Å follow each position.
Space group R-3c (No. 167, hexagonal axes)
One atom of each set of equivalent atoms:
Na (0.0000, 0.0000, 0.0532) [12 per cell]  6 O 2.46-2.56
Na (0.0000, 0.0000, 0.2500) [6 per cell]  6 O 2.41
Nd (0.0000, 0.0000, 0.1078) [12 per cell]  9 O 2.46-2.66
Nd (0.0031, 0.2873, 0.2168) [36 per cell]  8 O 2.38-2.62
Nd (0.0117, 0.3667, 0.6859) [36 per cell]  6 O 2.37-2.64
Ru (0.0000, 0.0000, 0.0000) [6 per cell]  6 O 2.03
Ru (0.0000, 0.0000, 0.1623) [12 per cell]  6 O 1.97-2.06
Ru (0.0000, 0.3328, 0.7500) [18 per cell]  6 O 1.97-2.02
O (0.0032, 0.1710, 0.5207) [36 per cell]  1 Ru 2.03
O (0.0049, 0.1960, 0.7764) [36 per cell]  1 Ru 2.01
O (0.0222, 0.4793, 0.7758) [36 per cell]  1 Ru 1.97
O (0.0685, 0.1995, 0.1794) [36 per cell]  1 Ru 1.97
O (0.0693, 0.1954, 0.8591) [36 per cell]  1 Ru 2.06
O (0.0964, 0.2333, 0.9180) [36 per cell]  1 Ru 2.02


(4)
## Ti5Ge3 (PBE-GGA)

Data for a relaxed structure of Ti5Ge3.

- Energy of formation: -696 meV per atom

Lattice parameters (Å, degrees): 7.5907 7.5907 5.2267 90.00 90.00 120.00
Closest atoms and distances in Å follow each position.
Space group P6_3/mcm (No. 193)
One atom of each set of equivalent atoms:
Ti (0.0000, 0.2509, 0.2500) [6 per cell]  5 Ge 2.60-2.82
Ti (0.3333, 0.6667, 0.0000) [4 per cell]  2 Ti 2.61, 6 Ge 2.69
Ge (0.0000, 0.3896, 0.7500) [6 per cell]  9 Ti 2.60-2.82


(5)
## Sm3Cr (PBE-GGA)

Data for a relaxed structure of Sm3Cr.

- Energy of formation: 359 meV per atom
- Total magnetic moment: 6.7 μB/cell

Lattice parameters (Å, degrees): 4.8169 4.8169 9.9482 90.00 90.00 90.00
____________
“‘I don’t like his tone.’ ‘I don’t agree with his thinking.’ ‘Good. Now, show me where he’s being angry. Give me a piece of textual evidence,’” Kidwell said, describing the back and forth.
Educator, and board member responses to Gates
Gates also emailed all the board members on December 13, saying, “The 1619 Project and critical race theory (CRT) has no place in America and American public schools. America was not founded on injustice and slavery.”
On December 15, Board member Josie Barnhart said to Gates, “the question that comes to mind is what state-level objectives did this book cover.” She suggested to Gates that she figure out why this book was approved for classroom instruction. She added that she would discuss it further with other board members.
On that same day, Kidwell sent a four-page document to Gates listing the nine state standards that applied to the book. She mentioned that these were all located in the syllabus that students received at the beginning of the semester.
She wrote that the college board opposes “censorship [and] indoctrination.” She said the course fosters “an open-minded approach to histories and cultures of different people and [an] unflinching encounter with evidence” and that the course is a “choice for parents and students.”
Kidwell also addressed CRT in her letter to Gates, saying that it was a concept she heard about just a few years ago when she started working on her doctorate.
“It seems to be a catch-all for any conversation that deals with race. But be assured, I have not learned enough about CRT to begin teaching it to AP students. [...] However, I do think it is vital for high school students to delve into topics like race and religion,” she wrote.
On December 19, Barnhart responded to another email from Gates, saying she “wanted to know how the school documented the concern of the assignment.”
When WHQR reached out to Barnhart about these exchanges, the subject line was ‘Banned book/Stamped book’ story. She replied, “I can see from your title an attempt to sensationalize a story, which has not happened. To my knowledge, the parent has not been presented with the information she asked for. In my opinion, rigor means depth of knowledge on a subject matter which should not translate into to be intentionally divisive content.”
Board member Pat Bradford went further when Gates reached out to her. On December 19 at 5 p.m., she wrote, “Please send us (all) excerpts of materials you are speaking about in this email? [sic]”
But six hours later, Bradford wrote to Gates, “Ignore my previous email re: examples please. This is horrifying.”
Recent movement toward banning books
While Gates’ recent challenge was against one book, for years she has alleged that the district is indoctrinating students with left-leaning ideologies.
At a July 2021 school board meeting, Gates said, “So I believe that vague and generalized concepts in these [social studies] standards leave the door wide open for our schools to abuse the teaching of civics and history by using that time and space to teach SEL — social emotional learning and critical race theory concepts like equity and implicit bias. They indoctrinate and categorize our kids and they divide not unify.”
Gates told WHQR that the “recent evidence of Stamped being used in the AP classroom justifies my concern from back in 2021.”
And she isn’t alone. Current school board members Bradford and Melissa Mason made similar allegations while running for office.
On several occasions, Mason alleged that district employees were complicit in giving young students access to pornography, citing books like All Boys Aren’t Blue and Out of Darkness. These two books were not taught but found in some libraries, according to district spokesperson Russell Clark.
Those books were two of nine included in a criminal complaint to the New Hanover County Sheriff’s Office. But when the District Attorney’s office declined to file charges, Mason voiced her frustration at the July 2022 school board meeting.
“Concerned parents took nine books to the sheriff, but the DA says state law prevents prosecuting school employees for giving harmful material to kids. As long as it's part of your job, you can show porn to kids. It's protected by the First Amendment. This is an absurd lie, obviously," Mason said.
Bradford also spoke, calling for the books to be removed. Stamped was one of the nine books.
“You have the power to change the policy that allowed these books into our schools," Bradford told the board.
At the time, Bradford and Mason had recently secured spots in the general election, having respectively placed first and second in the May Republican primary.
**Between two parts of the article: crystal structures**
=====
(one)
The following is a DFT calculation (PBE+U) of a geometry-optimized Li2TiFe3O8 structure.

Geometry as extended XYZ:
```
56
Lattice="8.3979 0.0000 0.0000 -0.0219 8.4073 0.0000 -0.0018 -0.0094 8.6124" Properties=species:S:1:pos:R:3 pbc="T T T"
Li 0.0000 0.0000 0.0000
Li -0.0016 4.1710 4.2989
Li 2.0717 2.0865 6.4396
Li 2.0972 6.3083 2.1415
Li 4.1570 8.3763 4.3110
Li 4.2061 4.1844 8.6115
Li 6.2474 6.3052 6.4544
Li 6.2858 2.1143 2.1429
Ti 1.0259 5.2945 7.4760
Ti 3.1414 1.0543 1.0578
Ti 5.2593 3.1104 5.3402
Ti 7.3486 7.3724 3.2951
Fe 1.0244 3.1560 1.0956
Fe 1.0593 1.0419 3.2108
Fe 1.0557 7.3567 5.3649
Fe 3.1302 3.1319 3.2064
Fe 3.1382 7.3470 7.5394
Fe 3.1632 5.2293 5.4001
Fe 5.2368 1.0322 7.5432
Fe 5.2253 7.3578 1.0572
Fe 5.2536 5.2574 3.2520
Fe 7.3196 5.2538 1.0806
Fe 7.3322 3.1727 7.5107
Fe 7.3677 1.0571 5.3905
O 0.8401 5.1954 0.9513
O 0.8762 3.2571 7.6319
O 0.8863 7.3846 3.3116
O 0.9609 0.9330 5.2516
O 1.0734 7.2104 7.4377
O 1.1373 3.0631 3.1158
O 1.1245 5.3079 5.5246
O 1.1611 1.1303 1.1590
O 2.9694 5.2970 7.4891
O 3.0427 7.2148 5.4962
O 3.0618 3.0353 1.1544
O 3.0858 1.1183 3.0644
O 3.1996 7.4807 0.9781
O 3.2223 0.9747 7.6726
O 3.2718 3.2299 5.2856
O 3.3222 5.1583 3.3061
O 5.1259 0.9805 0.9850
O 5.1506 5.1118 5.3187
O 5.1519 7.4465 7.6459
O 5.1906 3.2703 3.3652
O 5.3267 1.1740 5.4599
O 5.3367 7.2132 3.1319
O 5.3816 3.0847 7.3811
O 5.4207 5.3231 1.1639
O 7.1790 5.3541 3.1864
O 7.2192 3.0631 5.4362
O 7.2597 1.2192 7.4463
O 7.2669 7.1689 1.2072
O 7.3887 3.3551 0.9873
O 7.4018 0.8845 3.2796
O 7.3974 7.4266 5.2373
O 7.4334 5.1179 7.5802
```

Output
As for the total magnetization: 13.00 μB per formula unit.

---

(two)
The following is a DFT calculation (PBE+U) of a geometry-optimized Li2TiFe3O8 structure.

Geometry as extended XYZ:
```
14
Lattice="2.9936 1.7284 4.8862 -2.9936 1.7284 4.8862 0.0000 -3.4567 4.8862" Properties=species:S:1:pos:R:3 pbc="T T T"
Li 0.0000 0.0000 1.8408
Li 0.0000 0.0000 12.8178
Ti 0.0000 0.0000 7.3293
Fe -1.4968 -0.8642 4.8862
Fe -1.4968 0.8642 9.7724
Fe 0.0000 1.7284 4.8862
O 0.0000 0.0000 3.8542
O 0.0000 -1.5507 6.0863
O -1.3429 0.7754 6.0863
O -1.3430 -0.7754 8.5723
O 1.3429 0.7754 6.0863
O 1.3430 -0.7754 8.5723
O 0.0000 1.5507 8.5723
O 0.0000 0.0000 10.8044
```

Output
As for the total magnetization: 14.00 μB per formula unit.

---

It is (two) that is the most stable of them.

---

(one)
The following is a DFT calculation (PBE+U) of a geometry-optimized Li6TiFe5O12 structure.

Geometry as extended XYZ:
```
24
Lattice="2.5803 -4.4720 0.0000 2.5803 4.4720 0.0000 -1.4515 0.0000 10.0928" Properties=species:S:1:pos:R:3 pbc="T T T"
Li 0.2193 0.0000 2.5730
Li 0.9058 1.5779 7.5012
Li 2.8033 1.5779 2.5917
Li 0.9135 -1.4531 7.4869
Li 2.7956 -1.4531 2.6059
Li 3.4898 0.0000 7.5198
Ti 1.8546 0.0703 5.0464
Fe 1.8546 3.0093 5.0464
Fe 2.5803 1.5229 0.0000
Fe 2.5803 -1.4545 0.0000
Fe 1.8546 -2.9666 5.0464
Fe 2.5803 -4.4366 0.0000
O 1.7411 3.0073 1.1583
O 0.9555 1.4144 3.8947
O 0.2386 0.1192 6.1883
O 1.9680 3.0073 8.9345
=====
But that wasn’t the last criminal complaint. Education activist Gail Major filed another one late last year. Officials with the Sheriff’s office said they reviewed over 80 books — but none met the DA’s definition of criminal content.
Unsatisfied with the decision, Major appealed to the New Hanover County Commissioners at their most recent meeting.
“These books have shown obscenity, pornography; this is very important: exploitation, child abuse, gender ideology, slavery, incest, mental health anguish, one of the hardest ones for us to see, self-harm, inflammatory racial and religious commentary, illegal drugs, and underage drinking, to name a few. We started with pornography. And that's where it led us. It led us to why these kids cannot learn," Major said.
Kidwell said these public accusations are painful to hear.
“Teachers don't want to be in this war. Like, we're just trying to go in a classroom, and do our job. It's a really hard job. And I think most of us understand very fully the gravity of the situation, like we have children in front of us, and they listen to what we say, we have an element of influence and control that we take seriously,” Kidwell said.
Kidwell said she just wants her students to be critical thinkers. And she said allegations that misconstrue that kind of work as indoctrination are part of what’s pushing teachers out of the profession.
“These issues are just going to keep coming up until we make peace with them. I get that parents feel like they can protect their kids from suffering and hurt by keeping them from these ideas, but at some point, they’re going to have to face them.[...] I feel like as a society, on either [side of the] political spectrum, we should come together and say, ‘Hey, education is important. And we would like our kids to engage with new ideas,' and I don’t think that is a partisan issue," Kidwell said.
The appeal process
A few weeks ago, Ashley’s Media and Technology Advisory Committee (MTAC) effectively denied Gates’ petition to remove Stamped.
In its decision, the committee wrote, “[t]his book is an argument. Students taking the AP Language test will be expected to write an argument and to interpret and analyze [one]. [...] Also, we must take into account the original author who did the research is a specialist in African American history. [...] Students can then choose to either emulate or avoid the tactics used in a text when they craft their own arguments.”
For her part, Gates said she plans on appealing that decision. That will lead first to the district’s Curriculum & Media Center Branch Review Committee.
Members of this group support the school MTAC committees for any school-level objections. The makeup of this committee is the following:
- Assistant Superintendent of Technology & Digital Learning
- Chief Equity, Diversity, and Inclusion Officer
- Director of Curriculum and Instruction
- Lead Media Coordinator/Librarian
- High School Principal of the Year*
- Teacher of the Year*
- Lead K-5 ELA Teacher
- Lead 6-12 ELA Teacher
- Lead K-12 SS Teacher
*Note: According to the district, if the challenge is at the school of the principal or teacher of the year, another representative will be selected in their place.
Gates could then and, if necessary, appeal to the school board, which has discretion over whether to conduct a public hearing on the case.
When asked how she would feel if Stamped was banned, Kidwell said, “I'd be scared because I guess like, ultimately, that same fear I have is the same fear of the parents who want it to be gone have. To me, I think it is dangerous to shut off information and knowledge and access. And they think it's dangerous to have it. And so like those seem like at opposite poles and unresolvable in a lot of ways.”
*Below is the decision of the committee, and emails showing some of the arguments of Gates and Kidwell.